At the 39th Triennial ICAO Assembly in Montreal, the International Civil Aviation Organization sold the CORSIA (Carbon Offsetting and Reduction Scheme for International Aviation) agreement as a historical global climate protection airline deal. The central point is so-called "climate-neutral growth", which was determined for all airlines. Upon closer examination, it becomes clear that only CO₂ emissions created after 2020 are to be offset. The industry intends to continue releasing the existing annual emissions of around one billion tonnes of CO₂ into the atmosphere at no cost.
This deal is an enormous missed opportunity. With consistent low prices for fossil fuels, it would have been the time to send a signal about taking responsibility for climate protection, and it could have happened without any negative effects on the balance sheets. Our scathing conclusion is based on the recently published IATA figures (Factsheet Fuel, June 2016). These figures clearly show that the airlines will save an estimated 100 billion US dollars in operating costs thanks to reduced kerosene prices. If one were to invest just over one tenth of this 100 billion-dollar unexpected profit in compensation for the CO₂ emissions created by aircraft, it would have extremely positive effects on the environment and on sustainable development.
myclimate demands the industry around the world take responsibility for the waste that they release into the atmosphere. In light of the huge savings on kerosene, now would be the right time for the industry to establish a fee that could be used to correct the damages.
**What comes next are data records, not part of the article:**
____________
Record 1
For NpB3Ir6, a crystal structure in Alexandria, relaxed with GGA-PBE gives the theoretical powder diffraction line list in this record (Cu Kα).
Kinematic intensities with the Lorentz-polarization factor, no thermal factor.

Main lines, sorted by position (2θ from 5° to 70°):
2.975 Å, 30.0 deg, I = 38
2.741 Å, 32.7 deg, I = 37
2.358 Å, 38.2 deg, I = 80
2.343 Å, 38.4 deg, I = 100
2.324 Å, 38.7 deg, I = 71
2.159 Å, 41.8 deg, I = 39

abc: 5.416 5.450 5.972
angles: 64.13 70.06 60.42
Element x y z (fractional)
Np: 0.000 0.000 0.000
B: 0.282 0.368 0.974
B: 0.315 0.089 0.530
B: 0.753 0.640 0.970
Ir: 0.075 0.589 0.647
Ir: 0.442 0.910 0.231
Ir: 0.475 0.406 0.231
Ir: 0.536 0.620 0.715
Ir: 0.593 0.100 0.709
Ir: 0.944 0.385 0.345

=====

Record 2
For B3IrO, a crystal structure in Alexandria, relaxed with GGA-PBE gives the theoretical powder diffraction line list in this record (Cu Kα).
Kinematic intensities with the Lorentz-polarization factor, no thermal factor.

Main lines, sorted by position (2θ from 5° to 70°):
3.469 Å, 25.7 deg, I = 84
2.453 Å, 36.6 deg, I = 100
2.003 Å, 45.3 deg, I = 36
1.735 Å, 52.8 deg, I = 23
1.551 Å, 59.6 deg, I = 37
1.416 Å, 66.0 deg, I = 36

abc: 3.469 3.469 3.469
angles: 90.00 90.00 90.00
Element x y z (fractional)
B: 0.000 0.000 0.500
B: 0.000 0.500 0.000
B: 0.500 0.000 0.000
Ir: 0.500 0.500 0.500
O: 0.000 0.000 0.000

=====

Record 3
For BIr3Os, a crystal structure in Alexandria, relaxed with GGA-PBE gives the theoretical powder diffraction line list in this record (Cu Kα).
Kinematic intensities with the Lorentz-polarization factor, no thermal factor.

Main lines, sorted by position (2θ from 5° to 70°):
2.362 Å, 38.1 deg, I = 100
2.046 Å, 44.3 deg, I = 51
1.446 Å, 64.4 deg, I = 34

abc: 4.091 4.091 4.091
angles: 90.00 90.00 90.00
Element x y z (fractional)
B: 0.000 0.000 0.000
Ir: 0.000 0.000 0.500
Ir: 0.000 0.500 0.000
Ir: 0.500 0.000 0.000
Os: 0.500 0.500 0.500

* * * * *

(1)
Theoretical powder diffractogram
Compound: KGa2
Radiation: copper Kα
Structure: a GGA-PBE-relaxed structure
Peak positions follow from Bragg's law for the DFT cell and can differ from measured ones.

Cell and atoms:
a = 4.4968 Å, b = 4.4968 Å, c = 8.3120 Å
α = 90.00°, β = 90.00°, γ = 90.00°
Space group P4/nmm (No. 129, origin choice 2)
Symmetry-distinct sites (fractional):
K (0.2500, 0.2500, 0.1606)
Ga (0.2500, 0.2500, 0.6836)
Ga (0.2500, 0.7500, 0.5000)

Largest 6 diffraction maxima, in order of rising 2θ, 2θ from 15° to 90°:
h k l, 2θ/deg, Rel. int.
1 0 2, 29.26, 719
1 1 1, 30.09, 343
1 1 2, 35.55, 1000
2 0 0, 40.10, 630
1 1 3, 43.31, 315
2 1 2, 50.41, 290


(2)
Theoretical powder diffractogram
Compound: K4La3GaO8
Radiation: copper Kα
Structure: a GGA-PBE-relaxed structure
Peak positions follow from Bragg's law for the DFT cell and can differ from measured ones.

Cell and atoms:
a = 12.9053 Å, b = 7.0731 Å, c = 7.4308 Å
α = 90.00°, β = 121.58°, γ = 90.00°
Space group C2/m (No. 12)
Symmetry-distinct sites (fractional):
____________
Climate-neutral growth?
myclimate does indeed welcome the airline industry's offer of reduction measures, which are albeit due largely to technological progress and economic considerations. However, the climate-neutral growth starting in 2020 is also being praised as a major step. The average annual growth for the airlines is estimated at around four per cent. It is only this annual growth that is to be addressed with the efficiency measures and compensation in question. This will have no effect whatsoever on the climate pollution of up to 1000 Million tonnes per year", says René Estermann. The four per cent growth being discussed comprises around 40 million tonnes of CO₂ per year. At a current price for quality projects according to the Gold Standard of 10-20 dollars per tonne of proven reduction, this would mean an investment of 400-800 million dollars.
However, is it guaranteed that the industry will set any significant quality benchmarks? The compensation could also take place with certificates, which "could be acquired" for a price of approximately one dollar per tonne. While it is posed as being magnanimous and responsible, according to this scenario the offer they are making to the world would account for 40-50 million dollars per year, with current annual savings of 100 billion dollars. This would be not even a drop in the bucket compared to the savings.
From the viewpoint of airline passengers, this might be seen as positive if part of the savings are passed on as lower prices. In light of economic considerations, it might sound good that profits will increase significantly. However, from the perspective of climate policy on a global level, and so for all of us, it is by far not enough. myclimate demands mandatory climate-neutral flights: Mandatory, full compensation of all greenhouse gas emissions for all emission sources, whether on the ground, in the air, or on the water; whether for mobility, energy production or the heating/cooling of buildings. This is based on the proven and fair "polluter pays" principle.
Switzerland has been successfully realising this principle for decades with solid waste and wastewater. After initial opposition, it has since become simply a matter of course. "The 'polluter pays' principle has made a significant contribution to keeping Switzerland 'clean'. Clean lakes, rivers and forests would not be conceivable without a mandatory 'polluter pays' principle, and we need that principle for climate protection, too!